Wanted:
Please echo the material further down unchanged.

Given:
<<<
No. 1
The following is a DFT calculation (ωB97M-V/def2-TZVPD) of a molecular structure, C38H43BN9O2Y.

```
94
Properties=species:S:1:pos:R:3:forces:R:3
Y 0.292224 -0.119705 0.052491 0.3 0.7 -0.6
C -4.106496 1.848095 -1.460577 0.0 0.0 0.0
C -2.600449 2.010270 -1.283980 0.0 0.0 0.0
C -2.192430 3.480850 -1.224798 0.0 0.0 0.0
C -1.838958 1.306244 -2.366583 0.1 0.0 0.0
C -2.210540 1.086460 -3.705951 0.0 0.0 0.0
C -1.140416 0.418517 -4.260793 0.0 0.0 0.0
N -0.205585 0.261008 -3.311305 0.0 0.1 0.0
N -0.625668 0.806821 -2.148872 0.0 -0.2 -0.1
B 1.113212 -0.515215 -3.439001 0.0 0.0 0.0
N 1.011460 -1.934547 -2.832226 0.0 0.0 0.0
C 0.905727 -3.044292 -3.576289 0.0 0.0 0.0
C 0.850133 -4.127431 -2.731444 0.0 0.0 0.0
C 0.929743 -3.574906 -1.443256 0.0 0.0 0.0
N 1.022085 -2.244927 -1.511245 0.0 0.0 -0.1
C 0.903524 -4.390057 -0.179328 0.0 0.0 0.0
C -0.522787 -4.549187 0.350790 0.0 0.0 0.0
C 1.833298 -3.859647 0.903437 0.0 0.0 0.0
N 2.288754 0.276340 -2.842997 0.1 0.0 -0.1
C 3.318852 0.738818 -3.567296 0.0 0.0 0.0
C 4.127950 1.487267 -2.743584 -0.1 0.1 0.0
C 3.490663 1.446000 -1.490087 0.0 0.0 0.1
N 2.391689 0.693185 -1.557617 -0.2 -0.1 0.1
C 3.886838 2.205774 -0.252415 0.0 -0.1 0.0
C 2.954205 3.394817 -0.032522 0.0 0.1 -0.1
C 5.342376 2.663339 -0.323805 0.0 0.0 0.0
H -4.631511 2.331096 -0.633893 0.0 0.0 0.0
H -4.393809 0.795047 -1.477280 0.0 0.0 0.0
H -4.452216 2.314620 -2.389477 0.0 0.0 0.0
H -2.294848 1.564994 -0.333484 0.0 0.0 0.0
H -2.453912 3.996636 -2.156026 0.0 0.0 0.0
H -1.118881 3.553455 -1.057425 0.0 0.0 0.0
H -2.685725 3.982695 -0.389876 0.0 0.0 0.0
H -3.127677 1.374411 -4.191241 0.0 0.0 0.0
H -0.971838 0.046312 -5.258420 0.0 0.0 0.0
H 1.330032 -0.665867 -4.618936 0.0 0.0 0.0
H 0.891037 -2.974706 -4.651190 0.0 0.0 0.0
H 0.773458 -5.170943 -2.988492 0.0 0.0 0.0
H 1.259339 -5.383394 -0.479614 0.0 0.0 0.0
H -0.915270 -3.593620 0.695541 0.0 0.0 0.0
H -0.538041 -5.240733 1.197831 0.0 0.0 0.0
H -1.191556 -4.932349 -0.422745 0.0 0.0 0.0
H 1.464772 -2.916661 1.300507 0.0 0.0 0.0
H 2.840897 -3.687759 0.519230 0.0 0.0 0.0
H 1.891016 -4.569983 1.732164 0.0 0.0 0.0
H 3.388388 0.506893 -4.616921 0.0 0.0 0.0
H 5.030390 2.009883 -3.008570 0.0 0.0 0.0
H 3.790894 1.543957 0.609688 -0.1 0.0 0.0
H 3.024683 4.090678 -0.876045 0.0 0.0 0.0
H 3.218928 3.931454 0.881095 0.0 0.0 0.0
H 1.920002 3.058907 0.067743 0.1 -0.1 0.0
H 5.490786 3.363715 -1.150394 0.0 0.0 0.0
H 6.031354 1.825449 -0.458569 0.0 0.0 0.0
H 5.608253 3.182842 0.598580 0.0 0.0 0.0
O -4.163160 -2.733614 2.531373 -0.4 -0.2 0.0
C -4.616654 -2.635067 1.272813 0.0 -0.1 0.2
C -5.910171 -3.075954 0.989022 0.0 0.0 0.0
C -6.413914 -2.994708 -0.298420 0.0 0.0 0.0
C -5.636268 -2.474133 -1.327514 0.0 0.0 0.0
C -4.351171 -2.035250 -1.046244 0.0 0.0 0.0
C -3.825217 -2.103700 0.240152 0.0 0.1 -0.1
C -2.444404 -1.611128 0.485632 -0.1 0.0 0.0
O -1.764200 -1.145832 -0.487485 0.0 0.0 0.1
N -2.004944 -1.708579 1.723567 0.2 0.2 -0.1
N -0.700560 -1.267286 1.805667 -0.3 -0.3 0.4
C -0.120737 -1.341739 2.990765 0.1 0.0 0.1
C 1.247606 -1.027355 3.078227 -0.2 0.0 0.0
C 1.962861 -1.051769 4.302039 0.1 0.0 0.0
C 3.317172 -0.883964 4.305935 -0.1 0.0 0.0
C 3.989828 -0.696063 3.073885 0.0 0.0 -0.1
C 3.225447 -0.614844 1.931955 0.0 0.0 0.0
N 1.893598 -0.717092 1.895589 0.0 -0.1 -0.1
H -3.226580 -2.361405 2.509251 0.3 0.1 0.1
H -6.501471 -3.477149 1.803231 0.0 0.0 0.0
H -7.422796 -3.339405 -0.498553 0.0 0.0 0.0
H -6.028400 -2.406880 -2.334861 0.0 0.0 0.0
H -3.712982 -1.619260 -1.816720 0.0 0.0 0.0
H -0.690644 -1.638479 3.867531 0.0 0.0 0.0
H 1.412318 -1.214932 5.220994 0.0 0.0 0.0
H 3.868637 -0.898804 5.239121 0.0 0.0 0.0
H 5.064574 -0.588967 3.018308 0.0 0.0 0.0
H 3.701559 -0.461246 0.968245 0.0 0.0 0.0
C -0.006872 1.882935 1.047949 0.0 -0.2 0.0
C -0.039995 2.930730 1.943605 0.0 0.1 0.0
C -0.215018 2.713350 3.367344 0.0 0.0 0.0
C -0.218193 3.738537 4.279785 0.0 0.0 0.0
C -0.055397 5.082819 3.902226 0.0 0.0 0.0
C 0.112673 5.334017 2.537682 0.0 0.0 0.0
C 0.122467 4.327853 1.594624 -0.1 -0.1 0.0
>>>

Here it is:
No. 1
The following is a DFT calculation (ωB97M-V/def2-TZVPD) of a molecular structure, C38H43BN9O2Y.

```
94
Properties=species:S:1:pos:R:3:forces:R:3
Y 0.292224 -0.119705 0.052491 0.3 0.7 -0.6
C -4.106496 1.848095 -1.460577 0.0 0.0 0.0
C -2.600449 2.010270 -1.283980 0.0 0.0 0.0
C -2.192430 3.480850 -1.224798 0.0 0.0 0.0
C -1.838958 1.306244 -2.366583 0.1 0.0 0.0
C -2.210540 1.086460 -3.705951 0.0 0.0 0.0
C -1.140416 0.418517 -4.260793 0.0 0.0 0.0
N -0.205585 0.261008 -3.311305 0.0 0.1 0.0
N -0.625668 0.806821 -2.148872 0.0 -0.2 -0.1
B 1.113212 -0.515215 -3.439001 0.0 0.0 0.0
N 1.011460 -1.934547 -2.832226 0.0 0.0 0.0
C 0.905727 -3.044292 -3.576289 0.0 0.0 0.0
C 0.850133 -4.127431 -2.731444 0.0 0.0 0.0
C 0.929743 -3.574906 -1.443256 0.0 0.0 0.0
N 1.022085 -2.244927 -1.511245 0.0 0.0 -0.1
C 0.903524 -4.390057 -0.179328 0.0 0.0 0.0
C -0.522787 -4.549187 0.350790 0.0 0.0 0.0
C 1.833298 -3.859647 0.903437 0.0 0.0 0.0
N 2.288754 0.276340 -2.842997 0.1 0.0 -0.1
C 3.318852 0.738818 -3.567296 0.0 0.0 0.0
C 4.127950 1.487267 -2.743584 -0.1 0.1 0.0
C 3.490663 1.446000 -1.490087 0.0 0.0 0.1
N 2.391689 0.693185 -1.557617 -0.2 -0.1 0.1
C 3.886838 2.205774 -0.252415 0.0 -0.1 0.0
C 2.954205 3.394817 -0.032522 0.0 0.1 -0.1
C 5.342376 2.663339 -0.323805 0.0 0.0 0.0
H -4.631511 2.331096 -0.633893 0.0 0.0 0.0
H -4.393809 0.795047 -1.477280 0.0 0.0 0.0
H -4.452216 2.314620 -2.389477 0.0 0.0 0.0
H -2.294848 1.564994 -0.333484 0.0 0.0 0.0
H -2.453912 3.996636 -2.156026 0.0 0.0 0.0
H -1.118881 3.553455 -1.057425 0.0 0.0 0.0
H -2.685725 3.982695 -0.389876 0.0 0.0 0.0
H -3.127677 1.374411 -4.191241 0.0 0.0 0.0
H -0.971838 0.046312 -5.258420 0.0 0.0 0.0
H 1.330032 -0.665867 -4.618936 0.0 0.0 0.0
H 0.891037 -2.974706 -4.651190 0.0 0.0 0.0
H 0.773458 -5.170943 -2.988492 0.0 0.0 0.0
H 1.259339 -5.383394 -0.479614 0.0 0.0 0.0
H -0.915270 -3.593620 0.695541 0.0 0.0 0.0
H -0.538041 -5.240733 1.197831 0.0 0.0 0.0
H -1.191556 -4.932349 -0.422745 0.0 0.0 0.0
H 1.464772 -2.916661 1.300507 0.0 0.0 0.0
H 2.840897 -3.687759 0.519230 0.0 0.0 0.0
H 1.891016 -4.569983 1.732164 0.0 0.0 0.0
H 3.388388 0.506893 -4.616921 0.0 0.0 0.0
H 5.030390 2.009883 -3.008570 0.0 0.0 0.0
H 3.790894 1.543957 0.609688 -0.1 0.0 0.0
H 3.024683 4.090678 -0.876045 0.0 0.0 0.0
H 3.218928 3.931454 0.881095 0.0 0.0 0.0
H 1.920002 3.058907 0.067743 0.1 -0.1 0.0
H 5.490786 3.363715 -1.150394 0.0 0.0 0.0
H 6.031354 1.825449 -0.458569 0.0 0.0 0.0
H 5.608253 3.182842 0.598580 0.0 0.0 0.0
O -4.163160 -2.733614 2.531373 -0.4 -0.2 0.0
C -4.616654 -2.635067 1.272813 0.0 -0.1 0.2
C -5.910171 -3.075954 0.989022 0.0 0.0 0.0
C -6.413914 -2.994708 -0.298420 0.0 0.0 0.0
C -5.636268 -2.474133 -1.327514 0.0 0.0 0.0
C -4.351171 -2.035250 -1.046244 0.0 0.0 0.0
C -3.825217 -2.103700 0.240152 0.0 0.1 -0.1
C -2.444404 -1.611128 0.485632 -0.1 0.0 0.0
O -1.764200 -1.145832 -0.487485 0.0 0.0 0.1
N -2.004944 -1.708579 1.723567 0.2 0.2 -0.1
N -0.700560 -1.267286 1.805667 -0.3 -0.3 0.4
C -0.120737 -1.341739 2.990765 0.1 0.0 0.1
C 1.247606 -1.027355 3.078227 -0.2 0.0 0.0
C 1.962861 -1.051769 4.302039 0.1 0.0 0.0
C 3.317172 -0.883964 4.305935 -0.1 0.0 0.0
C 3.989828 -0.696063 3.073885 0.0 0.0 -0.1
C 3.225447 -0.614844 1.931955 0.0 0.0 0.0
N 1.893598 -0.717092 1.895589 0.0 -0.1 -0.1
H -3.226580 -2.361405 2.509251 0.3 0.1 0.1
H -6.501471 -3.477149 1.803231 0.0 0.0 0.0
H -7.422796 -3.339405 -0.498553 0.0 0.0 0.0
H -6.028400 -2.406880 -2.334861 0.0 0.0 0.0
H -3.712982 -1.619260 -1.816720 0.0 0.0 0.0
H -0.690644 -1.638479 3.867531 0.0 0.0 0.0
H 1.412318 -1.214932 5.220994 0.0 0.0 0.0
H 3.868637 -0.898804 5.239121 0.0 0.0 0.0
H 5.064574 -0.588967 3.018308 0.0 0.0 0.0
H 3.701559 -0.461246 0.968245 0.0 0.0 0.0
C -0.006872 1.882935 1.047949 0.0 -0.2 0.0
C -0.039995 2.930730 1.943605 0.0 0.1 0.0
C -0.215018 2.713350 3.367344 0.0 0.0 0.0
C -0.218193 3.738537 4.279785 0.0 0.0 0.0
C -0.055397 5.082819 3.902226 0.0 0.0 0.0
C 0.112673 5.334017 2.537682 0.0 0.0 0.0
C 0.122467 4.327853 1.594624 -0.1 -0.1 0.0